Given >
<<<
No. 1
DFT (wB97M-V/def2-TZVPD) results for one molecule with the formula C2H3NOS in a non-equilibrium geometry.

```
8
Properties=species:S:1:pos:R:3:forces:R:3:lowdin_charge:R:1
C -1.43115 0.11846 0.04703 -0.1 -4.3 -0.5 -0.102
N -0.74690 -0.99521 -0.42547 -2.3 3.4 2.2 -0.392
S 0.91646 -1.37453 -0.03644 -2.7 -0.4 -1.0 0.932
C 1.53379 0.14729 -0.21729 0.8 4.5 3.5 -0.681
O 0.92096 1.25291 -0.25283 2.2 -3.2 -0.9 -0.122
H -2.62358 -0.26364 -0.26334 3.3 2.2 1.0 0.132
H -1.13269 1.07760 0.83225 -0.8 -3.1 -2.6 0.145
H 2.56311 0.03712 0.31610 -0.5 0.9 -1.7 0.087
```
Forces are in eV/Å.

Calculated values
total charge = 0
maximum force = 5.72 eV/A
HOMO-LUMO gap = 9.182 eV
HOMO energy = -9.35 eV
SMILES = C=NSC=O
energy above the lowest of the compared OMol25 structures with the same formula, charge and spin = 89.50 kcal/mol

No. 2
DFT (wB97M-V/def2-TZVPD) results for one molecule with the formula C5H6O in a non-equilibrium geometry.

```
12
Properties=species:S:1:pos:R:3:forces:R:3:lowdin_charge:R:1
C 2.32212 -0.11755 0.08443 0.8 0.7 -0.6 0.142
C 1.74151 0.56465 -0.74881 -0.6 -1.8 2.0 -0.027
C 0.24513 0.23330 -0.82279 -0.3 0.5 -0.9 -0.361
C -0.66033 -0.74543 0.04311 0.4 0.1 -0.2 -0.071
C -1.25361 0.55935 0.58643 -0.2 -0.1 0.2 -0.178
O -0.48218 1.33944 -0.33033 -0.5 0.7 -0.2 -0.091
H 2.82338 -0.65346 0.83178 0.6 -0.4 0.5 0.036
H 0.16571 0.03998 -1.87662 -1.0 -0.1 -0.6 0.112
H -1.35827 -1.30016 -0.60426 0.4 0.2 0.2 0.108
H -0.22464 -1.43786 0.76683 0.1 0.2 -0.1 0.100
H -0.99195 0.78697 1.62861 0.0 0.0 -0.2 0.115
H -2.32687 0.73076 0.44163 0.2 -0.2 0.0 0.114
```
Forces are in eV/Å.

Calculated values
total charge = 0
maximum force = 2.79 eV/A
HOMO-LUMO gap = 10.084 eV
HOMO energy = -9.55 eV
SMILES = C#C[C@H]1CCO1
energy above the lowest of the compared OMol25 structures with the same formula, charge and spin = 105.45 kcal/mol

No. 3
DFT (wB97M-V/def2-TZVPD) results for C34H27F2N7OSSn as an isolated structure in a non-equilibrium geometry.

```
73
Properties=species:S:1:pos:R:3:forces:R:3:lowdin_charge:R:1
Sn 0.88691 -0.10152 0.35514 1.1 -1.4 0.6 1.529
C -2.11369 1.00192 3.52251 0.3 -0.5 0.3 -0.005
C -1.12293 0.96341 2.38434 1.1 -4.4 1.0 -0.158
N -0.60236 -0.24024 1.92107 -1.8 5.0 0.8 -0.092
N -1.12439 -1.43106 2.26914 0.2 0.9 -0.4 0.110
C -0.70898 -2.33491 1.42132 1.1 -1.4 -2.9 -0.373
O 0.16692 -2.18171 0.37164 -1.4 2.0 2.0 -0.211
C -1.23350 -3.69419 1.49157 1.3 -0.9 1.2 -0.176
C -2.23628 -4.04923 2.37814 -1.9 1.3 0.7 -0.041
C -2.64237 -5.35127 2.51909 -0.7 -0.8 1.0 -0.070
C -1.92843 -6.41931 1.98326 1.2 2.3 -0.7 -0.047
C -0.78092 -6.12202 1.23953 -0.2 1.3 0.2 -0.022
C -0.43446 -4.73579 1.01286 -0.3 -2.2 -0.5 0.010
C -0.49377 2.19080 1.98082 1.5 2.7 -1.3 -0.224
C -0.92815 3.45924 2.42730 0.5 -1.3 0.6 0.050
C -0.19434 4.60990 2.03752 -1.3 0.0 0.7 0.009
C 0.69372 4.49971 0.98046 0.7 1.5 0.2 -0.028
C 1.04542 3.25371 0.51572 -0.4 -0.3 0.4 -0.106
N 0.56874 2.17020 1.11712 -1.0 -2.1 -1.2 0.017
H -2.58766 0.04584 3.61957 -0.1 -0.7 0.0 0.071
H -2.93183 1.67833 3.34314 -0.1 0.6 -0.1 0.087
H -1.66932 1.21686 4.53422 -0.1 0.0 -1.1 0.137
H -2.78834 -3.27531 2.97313 0.6 -0.7 -0.8 0.131
H -3.49253 -5.58426 3.17531 0.4 0.2 -0.3 0.122
H -2.16071 -7.40159 2.24079 -0.5 -1.5 0.1 0.095
H -0.19033 -6.98741 0.92536 0.2 0.8 -0.2 0.113
H 0.47726 -4.48648 0.48791 -0.1 -0.1 -0.1 0.110
H -1.74505 3.36900 3.17034 0.7 1.0 -0.5 0.125
H -0.39952 5.57590 2.56105 0.2 -0.9 -0.8 0.146
H 1.21607 5.38137 0.55406 -0.6 -0.6 0.4 0.141
H 1.67819 3.15992 -0.35742 0.3 -0.4 0.2 0.120
F 3.58930 -2.77961 4.44271 -0.7 1.6 -1.0 0.078
C 3.53024 -1.71814 3.57118 1.5 -0.5 0.1 -0.208
C 2.55220 -1.64627 2.58161 -2.1 -0.2 0.1 -0.026
C 2.60425 -0.70748 1.54614 1.7 0.7 0.9 -0.205
C 3.79933 0.08217 1.42043 -0.8 -0.1 -1.2 -0.123
C 4.67164 0.07697 2.50792 0.8 -0.3 0.3 -0.176
F 5.79731 0.84578 2.47680 -0.7 -0.4 0.1 0.065
C 4.57596 -0.79546 3.60614 -1.8 -0.1 -1.7 0.118
C 4.09171 0.76235 0.07916 -0.3 -0.3 0.3 -0.186
C 5.02157 1.82112 -0.05115 -0.5 -2.3 0.4 0.015
>>>
Work order >
Count the lines above that contain the word "structure" and give the number alone.
Solution >
1